Streptoderma Diffuse Chronic

Diffuse chronic streptoderma (s. chronica diffusa) is a chronic skin disease characterized by diffuse skin lesions with the formation of infiltrates, scales and cracks.

The causes of the disease are not fully understood. It is assumed that hereditary predisposition, autoimmune reactions, and metabolic disorders play a role in its development. The disease is more common in women and usually begins between the ages of 20-40 years.

Clinically manifested by diffuse skin lesions with the presence of infiltrates, scales, and cracks. The extensor surfaces of the limbs and trunk are affected. The skin takes on the appearance of “goose bumps”. Characterized by itchy skin. The course is chronic, undulating, with periods of exacerbations and remissions.

The diagnosis is made based on the clinical picture and the results of histological examination of the skin. Differential diagnosis is carried out with psoriasis, lichen planus, atopic dermatitis.

Treatment includes external therapy with corticosteroids, antihistamines and keratolytics, and phototherapy. In severe cases, systemic corticosteroids, cytostatics, and retinoids are prescribed. The prognosis depends on the severity of the course and the effectiveness of therapy.

Streptoderma is a skin disease that is manifested by the formation of pustules and inflammatory papules on the skin, accompanied by pain, the formation of crusts covered with scales and peeling plates. It appears on the skin at any age and is accompanied by a contagious, chronic, superficial form. Patients begin to complain of rashes on the extensions of their arms and legs. Older patients are even more susceptible to the disease; the most common areas of inflammation are the lower back and legs. The causes of streptoderma are the penetration of pathogenic pathogens into the skin and the following factors can contribute:

1. Weakened immunity or deficiency of vitamins and minerals in older people and children;

2. Living in areas of high humidity and reduced sunlight;

3. Lack of proper nutrition and poor diet;

4. Vitamin deficiency and decreased protective functions of the body; 5. Hereditary predisposition.

There are a large number of varieties of streptodermatitis, but in almost all cases they manifest themselves in the same way - a pinpoint rash with flaky lesions and crusts appears on different parts of the body. This is the first sign that a process of suppuration is occurring. Diseases can also manifest themselves in the form of cracks, erosions and other elements characterized by inflammation. If you suspect chronic streptoderma in adults, you should consult a specialist and undergo diagnostics, since self-medication and delay in visiting a doctor can lead to worsening of the condition and serious complications.

Data records, kept here for reference:
=====
The following is a PBE-GGA calculation of an optimized crystal structure of TlHgO2, from the Alexandria database.

- Space group: P6_3/mmc (194)
- M_tot: 0.00 μB per atom
- ΔE_f (raw): -420 meV/atom
- Energy above the lowest structure with this stoichiometry: 0.000 eV per atom

Cell lengths 3.7614, 3.7614, 13.0288 Å; angles 90.00, 90.00, 120.00 degrees
With the nearest neighbours (Å) after each atom.
Positions (direct):
O1 0.6667 0.3333 0.9065  1 Hg 2.04
O2 0.6667 0.3333 0.5935  1 Hg 2.04
O3 0.3333 0.6667 0.4065  1 Hg 2.04
O4 0.3333 0.6667 0.0935  1 Hg 2.04
Tl1 0.0000 0.0000 0.5000  6 O 2.49
Tl2 0.0000 0.0000 0.0000  6 O 2.49
Hg1 0.6667 0.3334 0.7500  2 O 2.04
Hg2 0.3333 0.6667 0.2500  2 O 2.04

----------

The following is a DFT calculation (PBE) of KFe2Au after structural relaxation.

The structure in CIF format:
```
data_KFe2Au
_chemical_formula_sum 'K2 Fe4 Au2'
_symmetry_space_group_name_H-M 'P 1'
_symmetry_Int_Tables_number 1
_cell_length_a 9.840
_cell_length_b 9.840
_cell_length_c 9.840
_cell_angle_alpha 152.19
_cell_angle_beta 152.19
_cell_angle_gamma 39.74
loop_
_symmetry_equiv_pos_as_xyz
'x,y,z'
loop_
_atom_site_label
_atom_site_type_symbol
_atom_site_fract_x
_atom_site_fract_y
_atom_site_fract_z
_atom_site_occupancy
K1 K 0.375 0.625 0.750 1
K2 K 0.625 0.375 0.250 1
Fe1 Fe 0.000 0.000 0.000 1
Fe2 Fe 0.000 0.000 0.500 1
Fe3 Fe 0.000 0.500 0.000 1
Fe4 Fe 0.500 0.000 0.500 1
Au1 Au 0.125 0.875 0.250 1
Au2 Au 0.875 0.125 0.750 1
```

energy of formation = 734 meV per atom
total energy = -4.59 eV/atom
symmetry = I4_1/amd (141)

***

The following is a DFT calculation (PBE) of SrDyRu2O8 after structural relaxation.

The structure in CIF format:
```
data_SrDyRu2O8
_chemical_formula_sum 'Sr1 Dy1 Ru2 O8'
_symmetry_space_group_name_H-M 'P 1'
_symmetry_Int_Tables_number 1
_cell_length_a 5.883
_cell_length_b 5.883
_cell_length_c 7.206
_cell_angle_alpha 90.00
_cell_angle_beta 90.00
_cell_angle_gamma 120.00
loop_
_symmetry_equiv_pos_as_xyz
'x,y,z'
loop_
_atom_site_label
_atom_site_type_symbol
_atom_site_fract_x
_atom_site_fract_y
_atom_site_fract_z
_atom_site_occupancy
Sr1 Sr 0.000 0.000 0.000 1
Dy1 Dy 0.000 0.000 0.500 1
Ru1 Ru 0.333 0.667 0.788 1
Ru2 Ru 0.667 0.333 0.212 1
O1 O 0.162 0.324 0.711 1
O2 O 0.162 0.838 0.711 1
O3 O 0.324 0.162 0.289 1
O4 O 0.333 0.667 0.034 1
O5 O 0.667 0.333 0.966 1
O6 O 0.676 0.838 0.711 1
O7 O 0.838 0.162 0.289 1
O8 O 0.838 0.676 0.289 1
```

formation energy (no corrections) = -1.65 eV per atom
total energy = -7.03 eV/atom
symmetry = P-3m1 (164)

***

The following is a DFT calculation (PBE) of MgZnAg3 after structural relaxation.

The structure in CIF format:
```
data_MgZnAg3
_chemical_formula_sum 'Mg1 Zn1 Ag3'
_symmetry_space_group_name_H-M 'P 1'
_symmetry_Int_Tables_number 1
_cell_length_a 4.976
_cell_length_b 4.976
_cell_length_c 4.976
_cell_angle_alpha 90.00
_cell_angle_beta 90.00
_cell_angle_gamma 90.00
loop_
_symmetry_equiv_pos_as_xyz
'x,y,z'
loop_
_atom_site_label
_atom_site_type_symbol
_atom_site_fract_x
=====

One of the main symptoms of streptoderma is a skin rash. Swelling, inflammation, tenderness and discomfort may also occur. To diagnose streptodermatitis, you need to consult a dermatologist who will examine the skin and make a diagnosis.